**To do:**
Start at the top of the notes further below and repeat each line, ending with the one that has "0.462, 0.110],".

**Input:**
- - -
1.
{"formula": "LaAlO3", "functional": "GGA-PBE", "state": "optimized geometry", "ef_ev_per_fu": -18.5, "energy_ev_per_fu": -39.9, "lattice": [[7.353, 0.000, 0.000], [0.045, 7.926, 0.000], [0.919, 1.982, 8.027]], "species": ["La", "La", "La", "La", "La", "La", "Al", "Al", "Al", "Al", "Al", "Al", "O", "O", "O", "O", "O", "O", "O", "O", "O", "O", "O", "O", "O", "O", "O", "O", "O", "O"], "frac_coords": [[0.028, 0.255, 0.485], [0.263, 0.418, 0.818], [0.269, 0.923, 0.802], [0.731, 0.077, 0.198], [0.737, 0.582, 0.182], [0.972, 0.745, 0.515], [0.232, 0.105, 0.188], [0.234, 0.549, 0.186], [0.447, 0.769, 0.406], [0.553, 0.231, 0.594], [0.766, 0.451, 0.814], [0.768, 0.895, 0.812], [0.021, 0.028, 0.314], [0.022, 0.567, 0.308], [0.228, 0.119, 0.975], [0.232, 0.642, 0.972], [0.247, 0.323, 0.205], [0.293, 0.721, 0.592], [0.309, 0.229, 0.603], [0.412, 0.984, 0.282], [0.417, 0.624, 0.274], [0.583, 0.376, 0.726], [0.588, 0.016, 0.718], [0.691, 0.771, 0.397], [0.707, 0.279, 0.408], [0.753, 0.677, 0.795], [0.768, 0.358, 0.028], [0.772, 0.881, 0.025], [0.978, 0.433, 0.692], [0.979, 0.972, 0.686]]}



2.
{"formula": "LaAlO3", "functional": "GGA-PBE", "state": "optimized geometry", "ef_ev_per_fu": -18.1, "energy_ev_per_fu": -39.6, "lattice": [[8.802, 0.000, 0.000], [0.000, 8.927, 0.000], [-1.987, 0.000, 10.577]], "species": ["La", "La", "La", "La", "La", "La", "La", "La", "La", "La", "La", "La", "Al", "Al", "Al", "Al", "Al", "Al", "Al", "Al", "Al", "Al", "Al", "Al", "O", "O", "O", "O", "O", "O", "O", "O", "O", "O", "O", "O", "O", "O", "O", "O", "O", "O", "O", "O", "O", "O", "O", "O", "O", "O", "O", "O", "O", "O", "O", "O", "O", "O", "O", "O"], "frac_coords": [[0.013, 0.066, 0.169], [0.013, 0.434, 0.669], [0.330, 0.640, 0.943], [0.330, 0.860, 0.443], [0.456, 0.027, 0.173], [0.456, 0.473, 0.673], [0.544, 0.527, 0.327], [0.544, 0.973, 0.827], [0.670, 0.140, 0.557], [0.670, 0.360, 0.057], [0.987, 0.566, 0.331], [0.987, 0.934, 0.831], [0.179, 0.746, 0.662], [0.179, 0.754, 0.162], [0.230, 0.091, 0.643], [0.230, 0.409, 0.143], [0.294, 0.234, 0.921], [0.294, 0.266, 0.421], [0.706, 0.734, 0.579], [0.706, 0.766, 0.079], [0.770, 0.591, 0.857], [0.770, 0.909, 0.357], [0.821, 0.246, 0.838], [0.821, 0.254, 0.338], [0.076, 0.692, 0.782], [0.076, 0.808, 0.282], [0.124, 0.577, 0.100], [0.124, 0.923, 0.600], [0.157, 0.602, 0.546], [0.157, 0.898, 0.046], [0.200, 0.236, 0.058], [0.200, 0.264, 0.558], [0.243, 0.084, 0.810], [0.243, 0.416, 0.310], [0.266, 0.099, 0.326], [0.266, 0.401, 0.826], [0.375, 0.741, 0.742], [0.375, 0.759, 0.242], [0.417, 0.038, 0.610], [0.417, 0.462, 0.110], [0.485, 0.167, 0.986], [0.485, 0.333, 0.486], [0.515, 0.667, 0.514], [0.515, 0.833, 0.014], [0.583, 0.538, 0.890], [0.583, 0.962, 0.390], [0.625, 0.241, 0.758], [0.625, 0.259, 0.258], [0.734, 0.599, 0.174], [0.734, 0.901, 0.674], [0.757, 0.584, 0.690], [0.757, 0.916, 0.190], [0.800, 0.736, 0.442], [0.800, 0.764, 0.942], [0.843, 0.102, 0.954], [0.843, 0.398, 0.454], [0.876, 0.077, 0.400], [0.876, 0.423, 0.900], [0.924, 0.192, 0.718], [0.924, 0.308, 0.218]]}



3.
{"formula": "LaAlO3", "functional": "GGA-PBE", "state": "optimized geometry", "ef_ev_per_fu": -18.6, "energy_ev_per_fu": -40.1, "lattice": [[-2.694, 2.694, 3.840], [2.694, -2.694, 3.840], [2.694, 2.694, -3.840]], "species": ["La", "La", "Al", "Al", "O", "O", "O", "O", "O", "O"], "frac_coords": [[0.250, 0.750, 0.500], [0.750, 0.250, 0.500], [0.000, 0.000, 0.000], [0.500, 0.500, 0.000], [0.221, 0.721, 0.942], [0.250, 0.250, 0.000], [0.279, 0.221, 0.500], [0.721, 0.779, 0.500], [0.750, 0.750, 0.000], [0.779, 0.279, 0.058]]}
- - -

**Reply:**
1.
{"formula": "LaAlO3", "functional": "GGA-PBE", "state": "optimized geometry", "ef_ev_per_fu": -18.5, "energy_ev_per_fu": -39.9, "lattice": [[7.353, 0.000, 0.000], [0.045, 7.926, 0.000], [0.919, 1.982, 8.027]], "species": ["La", "La", "La", "La", "La", "La", "Al", "Al", "Al", "Al", "Al", "Al", "O", "O", "O", "O", "O", "O", "O", "O", "O", "O", "O", "O", "O", "O", "O", "O", "O", "O"], "frac_coords": [[0.028, 0.255, 0.485], [0.263, 0.418, 0.818], [0.269, 0.923, 0.802], [0.731, 0.077, 0.198], [0.737, 0.582, 0.182], [0.972, 0.745, 0.515], [0.232, 0.105, 0.188], [0.234, 0.549, 0.186], [0.447, 0.769, 0.406], [0.553, 0.231, 0.594], [0.766, 0.451, 0.814], [0.768, 0.895, 0.812], [0.021, 0.028, 0.314], [0.022, 0.567, 0.308], [0.228, 0.119, 0.975], [0.232, 0.642, 0.972], [0.247, 0.323, 0.205], [0.293, 0.721, 0.592], [0.309, 0.229, 0.603], [0.412, 0.984, 0.282], [0.417, 0.624, 0.274], [0.583, 0.376, 0.726], [0.588, 0.016, 0.718], [0.691, 0.771, 0.397], [0.707, 0.279, 0.408], [0.753, 0.677, 0.795], [0.768, 0.358, 0.028], [0.772, 0.881, 0.025], [0.978, 0.433, 0.692], [0.979, 0.972, 0.686]]}



2.
{"formula": "LaAlO3", "functional": "GGA-PBE", "state": "optimized geometry", "ef_ev_per_fu": -18.1, "energy_ev_per_fu": -39.6, "lattice": [[8.802, 0.000, 0.000], [0.000, 8.927, 0.000], [-1.987, 0.000, 10.577]], "species": ["La", "La", "La", "La", "La", "La", "La", "La", "La", "La", "La", "La", "Al", "Al", "Al", "Al", "Al", "Al", "Al", "Al", "Al", "Al", "Al", "Al", "O", "O", "O", "O", "O", "O", "O", "O", "O", "O", "O", "O", "O", "O", "O", "O", "O", "O", "O", "O", "O", "O", "O", "O", "O", "O", "O", "O", "O", "O", "O", "O", "O", "O", "O", "O"], "frac_coords": [[0.013, 0.066, 0.169], [0.013, 0.434, 0.669], [0.330, 0.640, 0.943], [0.330, 0.860, 0.443], [0.456, 0.027, 0.173], [0.456, 0.473, 0.673], [0.544, 0.527, 0.327], [0.544, 0.973, 0.827], [0.670, 0.140, 0.557], [0.670, 0.360, 0.057], [0.987, 0.566, 0.331], [0.987, 0.934, 0.831], [0.179, 0.746, 0.662], [0.179, 0.754, 0.162], [0.230, 0.091, 0.643], [0.230, 0.409, 0.143], [0.294, 0.234, 0.921], [0.294, 0.266, 0.421], [0.706, 0.734, 0.579], [0.706, 0.766, 0.079], [0.770, 0.591, 0.857], [0.770, 0.909, 0.357], [0.821, 0.246, 0.838], [0.821, 0.254, 0.338], [0.076, 0.692, 0.782], [0.076, 0.808, 0.282], [0.124, 0.577, 0.100], [0.124, 0.923, 0.600], [0.157, 0.602, 0.546], [0.157, 0.898, 0.046], [0.200, 0.236, 0.058], [0.200, 0.264, 0.558], [0.243, 0.084, 0.810], [0.243, 0.416, 0.310], [0.266, 0.099, 0.326], [0.266, 0.401, 0.826], [0.375, 0.741, 0.742], [0.375, 0.759, 0.242], [0.417, 0.038, 0.610], [0.417, 0.462, 0.110], [0.485, 0.167, 0.986], [0.485, 0.333, 0.486], [0.515, 0.667, 0.514], [0.515, 0.833, 0.014], [0.583, 0.538, 0.890], [0.583, 0.962, 0.390], [0.625, 0.241, 0.758], [0.625, 0.259, 0.258], [0.734, 0.599, 0.174], [0.734, 0.901, 0.674], [0.757, 0.584, 0.690], [0.757, 0.916, 0.190], [0.800, 0.736, 0.442], [0.800, 0.764, 0.942], [0.843, 0.102, 0.954], [0.843, 0.398, 0.454], [0.876, 0.077, 0.400], [0.876, 0.423, 0.900], [0.924, 0.192, 0.718], [0.924, 0.308, 0.218]]}